_Brief_
Your job: print the part of the entries underneath that starts with the line with "fractional coordinates:" and stops after the one with "-2.625 -0.930".
_Contents_
'''
Entry from Alexandria via LeMat-Bulk: a relaxed Y2Pt crystal (PBE-GGA).

## Properties
Calculated formation energy, eV/f.u.: -0.70
DFT total energy, eV/cell: -19.67
Density of states at the Fermi level, states/eV per atom: 1.04

abc: 4.989 4.989 3.055
angles: 90.00 90.00 120.00
Fractional positions:
Y1 0.333 0.667 0.000
Y2 0.667 0.333 0.000
Pt1 0.000 0.000 0.500


Entry from Alexandria via LeMat-Bulk: a relaxed Y6Pt23 crystal (PBE-GGA).

## Properties
Calculated formation energy, eV/f.u.: -21.53
DFT total energy, eV/cell: -199.25
Density of states at the Fermi level, states/eV per atom: 0.81

abc: 9.121 9.121 9.121
angles: 60.00 60.00 60.00
Fractional positions:
Y1 0.219 0.219 0.781
Y2 0.219 0.781 0.219
Y3 0.219 0.781 0.781
Y4 0.781 0.219 0.219
Y5 0.781 0.219 0.781
Y6 0.781 0.781 0.219
Pt1 0.000 0.000 0.500
Pt2 0.000 0.500 0.000
Pt3 0.000 0.500 0.500
Pt4 0.138 0.621 0.621
Pt5 0.167 0.167 0.167
Pt6 0.167 0.167 0.500
Pt7 0.167 0.500 0.167
Pt8 0.379 0.379 0.379
Pt9 0.379 0.379 0.862
Pt10 0.379 0.862 0.379
Pt11 0.500 0.000 0.000
Pt12 0.500 0.000 0.500
Pt13 0.500 0.167 0.167
Pt14 0.500 0.500 0.000
Pt15 0.500 0.500 0.500
Pt16 0.500 0.833 0.833
Pt17 0.621 0.138 0.621
Pt18 0.621 0.621 0.138
Pt19 0.621 0.621 0.621
Pt20 0.833 0.500 0.833
Pt21 0.833 0.833 0.500
Pt22 0.833 0.833 0.833
Pt23 0.862 0.379 0.379


Q: What is the DFT total energy in the first record?
A: -19.67 eV/cell


Q: Among the records above, which one has the highest DFT total energy?
A: Y2Pt


Q: What is the DFT total energy in the second record?
A: -199.25 eV/cell


Q: Which value of DFT total energy does entry 2 give?
A: -199.25 eV/cell

* * * * *

A relaxed structure of LaCePrGd. Source: the Alexandria database, functional PBE.

Properties
As for the total energy: -115.92 eV for the cell shown. The magnetization is 40.739 μB/cell. For the energy relative to the elements, the calculation gives 71 kJ/mol of formula units.

Lattice parameters (Å, degrees): 8.2159 8.2159 8.2159 90.00 90.00 90.00
With the nearest neighbours (Å) after each atom.
Space group F-43m (No. 216)
Inequivalent atoms, fractional coordinates:
La 0.0000 0.0000 0.0000  4 Pr 3.56, 4 Ce 3.56
Ce 0.2500 0.2500 0.7500  4 La 3.56, 4 Gd 3.56
Pr 0.2500 0.2500 0.2500  4 Gd 3.56, 4 La 3.56
Gd 0.0000 0.0000 0.5000  4 Ce 3.56, 4 Pr 3.56

* * * * *

Model one:
5
Lattice="-4.907 -0.605 -1.411 1.531 -1.547 -4.659 0.124 -4.866 1.656" Properties=species:S:1:pos:R:3 comment="MnNiPb3 GGA-PBE optimized geometry" dos_at_fermi_per_ev_atom=0.6685 pbc="T T T"
Mn -1.626 -3.509 -2.207
Ni 0.000 0.000 0.000
Pb -2.454 -0.303 -0.706
Pb 0.062 -2.433 0.828
Pb 0.765 -0.773 -2.329

Model two:
5
Lattice="-4.978 1.088 0.211 -0.694 -2.307 -4.496 -0.863 -4.417 2.399" Properties=species:S:1:pos:R:3 comment="MnNiPb3 GGA-PBE optimized geometry" dos_at_fermi_per_ev_atom=0.7686 pbc="T T T"
Pb -0.347 -1.153 -2.248
Pb -2.489 0.544 0.105
Pb -0.432 -2.208 1.200
Mn 0.000 0.000 0.000
Ni -3.268 -2.818 -0.943

The structure with the most favorable energy is model one; the runner-up is 26.9 kJ/mol of atoms above it.

Model one:
7
Lattice="4.567 0.150 0.000 -1.344 4.367 0.000 0.000 0.000 5.552" Properties=species:S:1:pos:R:3 comment="MnNiPd5 GGA-PBE optimized geometry" dos_at_fermi_per_ev_atom=1.0725 pbc="T T T"
Mn 1.611 2.259 2.776
Pd 3.895 2.334 1.321
Pd 2.283 0.075 4.230
Pd 0.000 0.000 2.776
Pd 0.939 4.442 1.321
Pd -0.672 2.184 4.230
Ni 0.000 0.000 0.000

Model two:
14
Lattice="-1.824 4.085 -5.321 -3.495 -6.002 0.284 -3.336 2.067 2.725" Properties=species:S:1:pos:R:3 comment="MnNiPd5 GGA-PBE optimized geometry" dos_at_fermi_per_ev_atom=1.7494 pbc="T T T"
Pd -1.535 1.906 -1.231
Pd -5.658 -2.405 1.190
Pd -2.997 2.554 -3.502
Pd -4.643 -1.653 -2.316
Pd -2.625 -0.930 -0.414
Pd -4.873 0.706 -4.386
Pd -3.782 -0.556 2.074
Pd -6.030 1.080 -1.898
Pd -4.012 1.802 0.004
Pd -7.120 -1.757 -1.081
Ni -5.306 -0.282 0.011
Ni -3.349 0.432 -2.323
Mn -1.668 1.033 1.362
Mn 0.000 0.000 0.000
'''
_Outcome_
Inequivalent atoms, fractional coordinates:
La 0.0000 0.0000 0.0000  4 Pr 3.56, 4 Ce 3.56
Ce 0.2500 0.2500 0.7500  4 La 3.56, 4 Gd 3.56
Pr 0.2500 0.2500 0.2500  4 Gd 3.56, 4 La 3.56
Gd 0.0000 0.0000 0.5000  4 Ce 3.56, 4 Pr 3.56

* * * * *

Model one:
5
Lattice="-4.907 -0.605 -1.411 1.531 -1.547 -4.659 0.124 -4.866 1.656" Properties=species:S:1:pos:R:3 comment="MnNiPb3 GGA-PBE optimized geometry" dos_at_fermi_per_ev_atom=0.6685 pbc="T T T"
Mn -1.626 -3.509 -2.207
Ni 0.000 0.000 0.000
Pb -2.454 -0.303 -0.706
Pb 0.062 -2.433 0.828
Pb 0.765 -0.773 -2.329

Model two:
5
Lattice="-4.978 1.088 0.211 -0.694 -2.307 -4.496 -0.863 -4.417 2.399" Properties=species:S:1:pos:R:3 comment="MnNiPb3 GGA-PBE optimized geometry" dos_at_fermi_per_ev_atom=0.7686 pbc="T T T"
Pb -0.347 -1.153 -2.248
Pb -2.489 0.544 0.105
Pb -0.432 -2.208 1.200
Mn 0.000 0.000 0.000
Ni -3.268 -2.818 -0.943

The structure with the most favorable energy is model one; the runner-up is 26.9 kJ/mol of atoms above it.

Model one:
7
Lattice="4.567 0.150 0.000 -1.344 4.367 0.000 0.000 0.000 5.552" Properties=species:S:1:pos:R:3 comment="MnNiPd5 GGA-PBE optimized geometry" dos_at_fermi_per_ev_atom=1.0725 pbc="T T T"
Mn 1.611 2.259 2.776
Pd 3.895 2.334 1.321
Pd 2.283 0.075 4.230
Pd 0.000 0.000 2.776
Pd 0.939 4.442 1.321
Pd -0.672 2.184 4.230
Ni 0.000 0.000 0.000

Model two:
14
Lattice="-1.824 4.085 -5.321 -3.495 -6.002 0.284 -3.336 2.067 2.725" Properties=species:S:1:pos:R:3 comment="MnNiPd5 GGA-PBE optimized geometry" dos_at_fermi_per_ev_atom=1.7494 pbc="T T T"
Pd -1.535 1.906 -1.231
Pd -5.658 -2.405 1.190
Pd -2.997 2.554 -3.502
Pd -4.643 -1.653 -2.316
Pd -2.625 -0.930 -0.414